Sunday, October 25, 2009

The Morning After

It is time for me to whine (again) about working for a non-profit. Specifically, the dreaded Fundraiser (or as I affectionately call it, the Fundbeggar). …

I am not a fundraiser, nor do I aspire to be one. I can be a whore for my own personal gratification, but somehow, doing it for a living is something I find distasteful – of course, I am grateful to those who do and make my paycheck possible. I am a finance guy who would love to have no other responsibility than to crunch numbers, produce financial reports, and make overly complex spreadsheets. For me, fundraisers are like going to the dentist – you dread it before you go, it is painful while it is happening, and you still hurt the next day. We only do a couple of major ones a year, although they seem to be growing and having babies. Last night we had one of two big annual fundraisers and while it is necessary, I don’t like that part about coming home after midnight and being so sore from standing for hours, that I can barely walk today (wah, wah, wah).

Since before I actually started working there (as a volunteer), I have been responsible for the same task at each event – collect the money, be a cashier, make change, run auctions… etc. Any place that money needs to be paid or received is where you will usually find me. This time was different. I decided that I am not being an effective manager if I cannot have my staff do the work, thereby allowing me to “work” the event by talking to our donors, board members, and other guests. I almost pulled it off. I chose a simple task that allowed me to meet and greet the attendees as they arrived. The problem was that people arrived over the course of a three hour period and I was standing in one spot most of the evening. Ouch… my feet and back are not happy today. That, and getting home at 12:30am, still completely wired… oh well, it is part of what needs to be done (but I don’t have to be happy about it, wah, wah, wah).

Everybody wants to do outdoor events in Florida. Then they remember why it is not such a great idea, i.e. heat and humidity (“Gee, it is not usually this hot in October”… yes it is – another manifestation of that sun brain damage I wrote about last time). By the time I left I was so completely soaked through that I could barely peel off my clothes when I came home. Did I mention I hate heat and humidity? (wah, wah)

So here I am, the morning after, glad through all of my aches and pains that we have another one behind us. Tomorrow we count the money and see to what degree it was worth it. (wah)

AND, work on the next four events are in process… oy.


Blue Ice Dave said...

And yet through all the pain and suffering, it was a successful event and those attending enjoyed themselves AND you continue to receive accolades for ALL that you do for the organization.

joetalk said...

I hate outdoor events . . . nature blows! :)

Two words for your back ache -- heal inserts. They really work!!!

joetalk said...

Um, make that heel inserts . . . geez! :)

- - -
Entry 1
A plane-wave DFT calculation with PBE-GGA was carried out for a geometry-optimized BaTaAl2 structure.

Cell and atoms, written as CIF:
```
data_BaTaAl2
_cell_length_a 7.1483
_cell_length_b 8.4146
_cell_length_c 2.9903
_cell_angle_alpha 90.00
_cell_angle_beta 90.23
_cell_angle_gamma 90.00
_symmetry_space_group_name_H-M 'C 1 2/m 1'
_symmetry_Int_Tables_number 12
loop_
_symmetry_equiv_pos_as_xyz
'x,y,z'
'-x,-y,-z'
'-x,y,-z'
'x,-y,z'
'x+1/2,y+1/2,z'
'-x+1/2,-y+1/2,-z'
'-x+1/2,y+1/2,-z'
'x+1/2,-y+1/2,z'
loop_
_atom_site_label
_atom_site_type_symbol
_atom_site_fract_x
_atom_site_fract_y
_atom_site_fract_z
_atom_site_occupancy
Ba1 Ba 0.0000 0.0000 0.0000 1
Ta1 Ta 0.0000 0.5000 0.0000 1
Al1 Al 0.2500 0.2500 0.5000 1
```

---

Entry 2
A plane-wave DFT calculation with PBE-GGA was carried out for a geometry-optimized BaTaAl2 structure.

Cell and atoms, written as CIF:
```
data_BaTaAl2
_cell_length_a 4.4195
_cell_length_b 4.4195
_cell_length_c 9.6141
_cell_angle_alpha 90.00
_cell_angle_beta 90.00
_cell_angle_gamma 90.00
_symmetry_space_group_name_H-M 'I -4 m 2'
_symmetry_Int_Tables_number 119
_symmetry_space_group_name_Hall 'I -4 -2'
loop_
_atom_site_label
_atom_site_type_symbol
_atom_site_fract_x
_atom_site_fract_y
_atom_site_fract_z
_atom_site_occupancy
Ba1 Ba 0.0000 0.0000 0.0000 1
Ta1 Ta 0.0000 0.5000 0.7500 1
Al1 Al 0.0000 0.0000 0.5000 1
Al2 Al 0.0000 0.5000 0.2500 1
```

---

Entry 3
A plane-wave DFT calculation with PBE-GGA was carried out for a geometry-optimized BaTaAl2 structure.

Cell and atoms, written as CIF:
```
data_BaTaAl2
_cell_length_a 7.1165
_cell_length_b 7.1165
_cell_length_c 7.1165
_cell_angle_alpha 90.00
_cell_angle_beta 90.00
_cell_angle_gamma 90.00
_symmetry_space_group_name_H-M 'F -4 3 m'
_symmetry_Int_Tables_number 216
_symmetry_space_group_name_Hall 'F -4 2 3'
loop_
_atom_site_label
_atom_site_type_symbol
_atom_site_fract_x
_atom_site_fract_y
_atom_site_fract_z
_atom_site_occupancy
Ba1 Ba 0.0000 0.0000 0.0000 1
Ta1 Ta 0.2500 0.2500 0.2500 1
Al1 Al 0.0000 0.0000 0.5000 1
Al2 Al 0.2500 0.2500 0.7500 1
```

---

Entry 4
A plane-wave DFT calculation with PBE-GGA was carried out for a geometry-optimized BaTaAl2 structure.

Cell and atoms, written as CIF:
```
data_BaTaAl2
_cell_length_a 3.1398
_cell_length_b 3.1398
_cell_length_c 9.1204
_cell_angle_alpha 90.00
_cell_angle_beta 90.00
_cell_angle_gamma 90.00
_symmetry_space_group_name_H-M 'P 4/m m m'
_symmetry_Int_Tables_number 123
_symmetry_space_group_name_Hall '-P 4 2'
loop_
_atom_site_label
_atom_site_type_symbol
_atom_site_fract_x
_atom_site_fract_y
_atom_site_fract_z
_atom_site_occupancy
Ba1 Ba 0.0000 0.0000 0.0000 1
Ta1 Ta 0.0000 0.0000 0.5000 1
Al1 Al 0.5000 0.5000 0.2993 1
```

---

Energy ordering: entry 4 at the bottom, the next structure 372 meV/atom above.

---

Entry 1
A plane-wave DFT calculation with PBE-GGA was carried out for a geometry-optimized BaTaAl2 structure.

Cell and atoms, written as CIF:
```
data_BaTaAl2
_cell_length_a 3.0073
_cell_length_b 5.5772
- - -
**Back to the piece:**

John (from Iowa) said...

Heel inserts heal . . .